Posts Under: Content Marketing

Social Media Drove Almost a Third of Web Traffic

February 1, 2015 Content Marketing, Social Influence 1 comment

-- What comes next are materials data, not part of the page --
********
Mg14SnW | the Materials Project | PBE | optimized geometry; ΔE to the lowest computed polymorph = 0.23 eV/f.u.; space-group type = Amm2, No. 38; formation enthalpy at 0 K = 0.12 eV/atom
1.0
-5.814 -2.022 1.154
4.489 -1.036 4.149
-2.187 8.908 4.591
Mg W Sn
14 1 1
Cartesian
-4.925 1.547 3.400
-2.662 -0.584 2.729
-0.845 4.881 4.449
-2.015 2.435 2.723
-5.990 5.881 5.633
-1.505 3.364 7.079
0.293 1.902 4.856
1.410 4.371 6.514
-3.144 7.034 5.093
-3.729 3.877 5.024
-3.822 5.461 7.815
-2.694 0.867 5.448
-0.836 6.501 7.226
-0.412 -1.103 4.808
2.498 -0.087 4.224
0.282 0.451 2.124


Zr2N2O | the Materials Project | PBE | optimized geometry; total energy after the MP2020 corrections = -9.93 eV per atom; space-group type = P1, No. 1; formation enthalpy at 0 K = -2.19 eV/atom
1.0
8.871 0.000 0.000
-2.976 8.363 0.000
-2.945 -4.155 7.257
Zr N O
16 16 8
Cartesian
-0.194 2.893 5.398
3.182 7.232 1.501
5.778 -1.308 5.444
2.949 4.192 0.024
-2.871 2.096 3.636
-0.052 6.259 3.547
6.091 1.915 0.322
-2.758 5.475 1.771
-0.267 -3.036 5.714
3.171 0.885 5.188
-3.227 2.260 6.964
2.739 4.329 3.345
-0.168 3.328 2.105
3.116 1.286 1.840
2.977 4.156 7.186
0.234 -0.047 3.974
1.037 1.072 5.646
0.629 4.228 3.954
-0.484 5.468 1.661
-2.308 3.450 5.261
2.175 0.134 0.311
2.337 0.006 3.341
6.415 3.378 1.868
5.240 0.755 1.987
3.567 4.934 5.274
-1.028 -0.907 5.542
1.917 3.101 1.634
-0.772 1.751 3.523
0.777 4.111 6.978
-3.497 0.814 5.352
3.438 2.079 7.024
3.947 5.136 1.749
1.894 6.122 0.100
-0.530 2.170 0.198
-0.629 -0.752 2.003
1.093 -1.880 7.146
-2.186 6.058 3.858
3.701 2.447 3.741
5.125 -1.819 3.410
3.449 -1.251 5.619


Cs2TaCuF6 | the Materials Project | PBE | optimized geometry; total energy after the MP2020 corrections = -5.59 eV per atom; space-group type = Fm-3m, No. 225; formation enthalpy at 0 K = -2.66 eV/atom
1.0
-5.352 1.343 4.791
-6.547 -3.129 -0.864
-2.182 -5.239 4.604
F Ta Cs Cu
6 1 2 1
Cartesian
-6.856 -3.369 2.350
-7.671 -5.326 4.069
-7.225 -3.656 6.181
-8.855 -2.868 4.139
-6.410 -1.699 4.462
-5.226 -4.157 4.392
-7.041 -3.512 4.265
-10.561 -5.269 6.398
-3.520 -1.756 2.133
0.000 0.000 0.000


Re4Cl8O9 | the Materials Project | PBE | optimized geometry; total energy after the MP2020 corrections = -6.63 eV per atom; space-group type = P-1, No. 2; formation enthalpy at 0 K = -1.44 eV/atom
1.0
6.433 0.000 0.000
0.716 6.542 0.000
0.341 2.607 12.746
O Cl Re
9 8 4
Cartesian
4.729 7.081 9.125
4.200 2.783 1.305
1.720 3.969 1.829
5.860 5.779 5.913
3.290 6.366 11.441
3.387 1.304 6.373
1.629 3.371 6.834
5.770 5.181 10.917
2.761 2.068 3.622
5.900 8.250 11.924
5.660 2.124 4.672
1.830 7.026 8.074
2.969 5.782 4.587
4.520 3.367 8.160
1.590 0.899 0.822
1.944 2.915 9.873
5.545 6.234 2.873
2.538 2.266 7.728
2.624 2.511 1.945
4.866 6.638 10.801
4.952 6.883 5.018


MgBr2O | the Materials Project | PBE | optimized geometry; total energy after the MP2020 corrections = -3.56 eV per atom; space-group type = Pnma, No. 62; formation enthalpy at 0 K = -1.10 eV/atom
1.0
0.440 1.435 3.739
********

Social Media versus Search

Social media has officially trumped Search as the main source of traffic to websites! Well, at least according to Shareaholic.

In their latest report on social media traffic trends, Shareholic updated that social media platforms like Facebook, Pinterest, Twitter and others were responsible for driving 31.24% of overall traffic to websites in December 2014. This was a sizable 22.71% increase over the same period last year.

7 Reasons Why Artsy Rocks The Art World

January 27, 2015 Content Marketing 1 comment

Michael Jackson and Bubbles

Do you love art? I certainly do. Especially works like Jeff Koons’ Michael Jackson and Bubbles (courtesy of Artsy).

While I’m not an art collector myself, I enjoy visiting art galleries and museums. I relish uncovering the rich and multi-layered narratives behind each and every artwork, immersing myself in aesthetic experiences which transport me from the ordinary to the sublime.

Online Consumer Behaviours – Insights from a Psychologist

# Data records from another source follow
- - -
Ca3Nb4O12F2: relaxed, PBE-GGA.

a = 7.4393 Å, b = 7.4393 Å, c = 7.4393 Å
α = 60.89°, β = 60.89°, γ = 60.89°
With the nearest neighbours (Å) after each atom.
Positions (direct):
1 Nb 0.0000 0.0000 0.5000  6 O 2.01
2 O 0.6811 0.0717 0.0717  2 Nb 2.00-2.01
3 F 0.6407 0.6407 0.6407  3 Ca 2.23
4 F 0.3593 0.3593 0.3593  3 Ca 2.23
5 Ca 0.5000 0.5000 0.0000  2 F 2.23
6 O 0.6851 0.6851 0.0560  2 Nb 2.01
7 O 0.3189 0.9283 0.9283  2 Nb 2.00-2.01
8 Ca 0.0000 0.5000 0.5000  2 F 2.23
9 O 0.3149 0.3149 0.9440  2 Nb 2.01
10 O 0.0560 0.6851 0.6851  2 Nb 2.01
11 O 0.0717 0.0717 0.6811  2 Nb 2.00-2.01
12 O 0.9440 0.3149 0.3149  2 Nb 2.01
13 Ca 0.5000 0.0000 0.5000  2 F 2.23
14 Nb 0.5000 0.0000 0.0000  6 O 2.01
15 O 0.6851 0.0560 0.6851  2 Nb 2.01
16 O 0.0717 0.6811 0.0717  2 Nb 2.00-2.01
17 Nb 0.0000 0.0000 0.0000  6 O 2.00
18 O 0.9283 0.9283 0.3189  2 Nb 2.00-2.01
19 O 0.3149 0.9440 0.3149  2 Nb 2.01
20 O 0.9283 0.3189 0.9283  2 Nb 2.00-2.01
21 Nb 0.0000 0.5000 0.0000  6 O 2.01

Magnetization: 0.0 μB/f.u.
E above lowest polymorph: 0.018 eV/atom
E (MP2020): -8.561 eV/atom
Formation energy from the elements: -3.34 eV/atom

=====

Ba2CuC12O18: relaxed, PBE-GGA.

a = 7.7721 Å, b = 8.2436 Å, c = 10.2452 Å
α = 97.39°, β = 111.95°, γ = 114.27°
With the nearest neighbours (Å) after each atom.
Positions (direct):
1 O 0.2915 0.7143 0.7993  1 C 1.23
2 C 0.8161 0.5654 0.9983  1 O 1.23
3 O 0.8007 0.9583 0.8063  1 O 1.36
4 C 0.1839 0.4346 0.0017  1 O 1.23
5 C 0.9653 0.8609 0.4973  1 O 1.25
6 O 0.9352 0.6997 0.4951  1 C 1.25
7 O 0.8503 0.6691 0.9243  1 C 1.23
8 O 0.1993 0.0417 0.1937  1 O 1.36
9 O 0.5473 0.7323 0.1390  1 C 1.22
10 O 0.4650 0.4965 0.4291  1 O 1.33
11 C 0.0658 0.4310 0.8467  1 O 1.24
12 C 0.0347 0.1391 0.5027  1 O 1.25
13 C 0.3720 0.6229 0.0329  1 O 1.22
14 O 0.4527 0.2677 0.8610  1 C 1.22
15 Ba 0.3530 0.7235 0.5531  8 O 2.71-3.00
16 O 0.8876 0.3217 0.7385  1 C 1.24
17 C 0.7493 0.3865 0.1252  1 O 1.23
18 C 0.6280 0.3771 0.9671  1 O 1.22
19 O 0.3314 0.0619 0.5287  1 C 1.25
20 C 0.9342 0.5690 0.1533  1 O 1.24
21 Ba 0.6470 0.2765 0.4469  8 O 2.71-3.00
22 O 0.6686 0.9381 0.4713  1 C 1.25
23 O 0.7085 0.2857 0.2007  1 C 1.23
24 C 0.1526 0.0326 0.5133  1 O 1.25
25 O 0.5350 0.5035 0.5709  1 O 1.33
26 O 0.9893 0.9866 0.8130  1 O 1.36
27 O 0.0107 0.0134 0.1870  1 O 1.36
28 O 0.0648 0.3003 0.5049  1 C 1.25
29 C 0.2507 0.6135 0.8748  1 O 1.23
30 C 0.8474 0.9674 0.4867  1 O 1.25
31 Cu 0.0000 0.0000 0.0000  4 O 1.87-1.88
32 O 0.1124 0.6783 0.2615  1 C 1.24
33 O 0.1497 0.3309 0.0757  1 C 1.23

Magnetization: 3.3 μB/f.u.
E above lowest polymorph: 0.000 eV/atom
E (MP2020): -7.092 eV/atom
Formation energy from the elements: -0.80 eV/atom

=====

Na3Ti2SiSn2P5O24: relaxed, PBE-GGA.

a = 8.7664 Å, b = 8.7485 Å, c = 22.5432 Å
α = 90.08°, β = 89.94°, γ = 120.00°
With the nearest neighbours (Å) after each atom.
Positions (direct):
1 O 0.5003 0.3644 0.4182  1 P 1.56
2 O 0.7044 0.1564 0.0277  1 P 1.54
3 O 0.8404 0.2964 0.5274  1 P 1.54
4 O 0.5103 0.8264 0.7594  1 Si 1.66
- - -
# The piece goes on

January 25, 2015 Content Marketing, Social Influence 2 comments

Online Consumer Behaviours - Insights from a Psychologist Nathalie Nahai the web psychologist (courtesy of Waggener Edstrom)

-- Attached: calculated crystals --
____________
# 1
K2SnF6 | PBE | optimized geometry

Values from the calculation:
Energy relative to the elements (eV per atom): -3.02
Crystal system: trigonal

Cell lengths 4.888, 5.973, 5.973 Å; angles 120.00, 90.00, 90.00 degrees
Fractional coordinates of all 9 atoms:
1 Sn 0.000 0.000 0.000
2 F 0.774 0.676 0.838
3 F 0.226 0.324 0.162
4 F 0.774 0.162 0.324
5 F 0.226 0.838 0.162
6 F 0.774 0.162 0.838
7 F 0.226 0.838 0.676
8 K 0.320 0.333 0.667
9 K 0.680 0.667 0.333

***

# 2
CeZn3 | PBE | optimized geometry

Values from the calculation:
Energy relative to the elements (eV per atom): -0.29
Crystal system: orthorhombic

Cell lengths 5.681, 5.681, 6.544 Å; angles 90.00, 90.00, 132.02 degrees
Fractional coordinates of all 8 atoms:
1 Zn 0.200 0.800 0.250
2 Zn 0.800 0.200 0.750
3 Zn 0.381 0.619 0.944
4 Zn 0.619 0.381 0.056
5 Zn 0.381 0.619 0.556
6 Zn 0.619 0.381 0.444
7 Ce 0.102 0.898 0.750
8 Ce 0.898 0.102 0.250

***

# 3
Pr4MnS7 | PBE | optimized geometry

Values from the calculation:
Energy relative to the elements (eV per atom): -2.00
Crystal system: hexagonal
M_tot (μB per formula unit): 5.00

Cell lengths 9.872, 9.872, 7.100 Å; angles 90.00, 90.00, 120.00 degrees
Fractional coordinates of all 24 atoms:
1 S 0.456 0.529 0.960
2 S 0.128 0.880 0.329
3 S 0.073 0.544 0.960
4 S 0.667 0.333 0.058
5 S 0.544 0.471 0.460
6 S 0.752 0.872 0.329
7 S 0.872 0.120 0.829
8 S 0.529 0.073 0.460
9 S 0.471 0.927 0.960
10 S 0.333 0.667 0.558
11 S 0.248 0.128 0.829
12 S 0.880 0.752 0.829
13 S 0.120 0.248 0.329
14 S 0.927 0.456 0.460
15 Mn 0.000 0.000 0.479
16 Mn 0.000 0.000 0.979
17 Pr 0.333 0.667 0.178
18 Pr 0.180 0.378 0.724
19 Pr 0.622 0.802 0.724
20 Pr 0.198 0.820 0.724
21 Pr 0.378 0.198 0.224
22 Pr 0.667 0.333 0.678
23 Pr 0.820 0.622 0.224
24 Pr 0.802 0.180 0.224

***

# 4
Pr2Ge6Pt | PBE | optimized geometry

Values from the calculation:
Energy relative to the elements (eV per atom): -0.55
Crystal system: orthorhombic
M_tot (μB per formula unit): 0.00

Cell lengths 4.162, 4.218, 11.418 Å; angles 90.00, 100.50, 90.00 degrees
Fractional coordinates of all 9 atoms:
1 Ge 0.882 0.000 0.765
2 Ge 0.666 0.000 0.333
3 Ge 0.495 0.500 0.991
4 Ge 0.234 0.000 0.468
5 Ge 0.384 0.500 0.768
6 Ge 0.994 0.000 0.988
7 Pr 0.115 0.500 0.230
8 Pr 0.779 0.500 0.558
9 Pt 0.557 0.000 0.113

***

# 5
KZnBP2O8 | PBE | optimized geometry

Values from the calculation:
Energy relative to the elements (eV per atom): -2.65
Crystal system: monoclinic
M_tot (μB per formula unit): 0.00

Cell lengths 9.115, 9.115, 8.523 Å; angles 89.07, 89.07, 90.51 degrees
Fractional coordinates of all 52 atoms:
1 O 0.428 0.266 0.765
2 O 0.175 0.575 0.481
3 O 0.670 0.992 0.777
4 O 0.008 0.330 0.723
5 O 0.323 0.374 0.531
6 O 0.626 0.677 0.969
7 O 0.825 0.425 0.519
8 O 0.903 0.720 0.916
9 O 0.883 0.158 0.529
10 O 0.926 0.671 0.567
11 O 0.266 0.428 0.265
12 O 0.734 0.572 0.735
13 O 0.801 0.469 0.003
14 O 0.097 0.280 0.084
15 O 0.199 0.531 0.997
16 O 0.329 0.074 0.933
17 O 0.992 0.670 0.277
18 O 0.720 0.903 0.416
____________

Do people behave differently online and offline? What makes us so addicted to Facebook, email and Twitter?

In an interesting podcast episode of Mitch Joel’s Six Pixels of Separation, web psychologist Nathalie Nahai, author of the book Webs of Influence, revealed how online platforms, mobile technologies and social networks converge to influence consumer behaviours.

Six Pillars of Content Marketing

January 11, 2015 Content Marketing 1 comment

6 Pillars of Content Marketing
Courtesy of Socialbrite

What are the ingredients of a good content marketing strategy? How can one differentiate one’s business through content marketing?

After reading and listening to a tonne of content on blogs, podcasts, and videos, I believe that successful content marketing is predicated on 6 key ingredients. Taken together, they can raise the chances of success in any content marketing endeavour.

Twitter Is Not a Strategy: Book Review

January 7, 2015 Content Marketing, Social Influence 1 comment

Twitter Is Not a Strategy

How do we build strong brands in the digital age? Should brand marketers “bow to algorithmic salvation”, allowing data and process to ride roughshod over inspiration and creativity?

Chairman of JWT Asia Pacific Tom Doctoroff provides compelling answers to these burning questions in his latest book Twitter Is Not A Strategy. Author of the book What Chinese Want, Tom argues in his new book that “new-media cleverness” cannot be a panacea for marketing. Rather, effective marketing begins with deep customer insights that translate into a great brand idea that is media-agnostic.

The ABCs of Influencer Marketing

January 4, 2015 Content Marketing, Social Influence 3 comments

What is Influencer Marketing all about? How do you pick the right influencers to work with your brand, and how much should you pay for them?

In this article, I will cover the basics of who influencers are, what influencer marketing is all about, ways to work the right influencers to work for your brand, the cost of engaging an influencer, and how you should choose the best influencers to partner with.

Content Rules: Book Review

December 9, 2014 Content Marketing 1 comment

Content Rules Book Cover

Content is king! Content rules!

Yeah, we know that already. Thanks to the burgeoning growth of content marketing – the new “silver bullet” in a marketer’s arsenal – everybody is hopping onto the content marketing bandwagon.

However, how do we tap this rising trend? More specifically, what should you do to “create killer blogs, podcasts, videos, e-books, webinars (and more) that engage customers and ignite your business”?